The Twilight series marks time in Eclipse, a static, lead-swinging installment in the teenage vampire melodrama, which sees David Slade become the third director in as many films to steer Stephanie Myers’ tiresome, toothless saga to the screen.
We enter the story at the point where the last film, an even more glacially-paced and moody non-event, ended. Bella (Kirsten Stewart) and her bloodsucking beau Edward (Robert Pattinson) have been reunited, much to the chagrin of the Native American third wheel Jacob (Taylor Lautner). Confused Bella is torn between her two admirers; undead Edward, with his sparkly skin and flashing yellow eyes, and hot-blooded Jacob, who can transform into a virile, hairy werewolf on demand. As Bella hums and haws, an old threat returns in the form of redheaded outlaw vampire Victoria (Byrce Dallas Howard, replacing Rachelle Lefevre). Victoria is breeding an army of dangerous young vampires to avenge the death of her beloved at the hands of Bella and the Cullen clan.
Quantum chemistry results, kept here for reference >
a.
This record from the OMol25 dataset describes a 2-piece molecular cluster, C6H14O2 overall. The level of theory is ωB97M-V/def2-TZVPD.

XYZ file:
```
22
C6H14O2, DFT ωB97M-V/def2-TZVPD
C -1.73 2.82 -0.08
C -1.68 1.66 0.92
C -0.38 0.97 1.03
C -0.29 -0.52 0.45
C -1.22 -1.11 -0.58
C -0.68 -2.09 -1.42
O 0.30 -2.73 -1.15
H -2.62 3.51 -0.03
H -1.60 2.60 -1.00
H -0.78 3.39 0.23
H -2.17 0.78 0.77
H -1.90 2.21 1.92
H 0.04 0.98 2.05
H 0.28 1.53 0.41
H -0.51 -1.13 1.38
H 0.80 -0.75 0.41
H -2.11 -1.80 -0.08
H -1.78 -0.32 -0.89
H -1.24 -2.37 -2.30
O 6.42 -2.16 -0.64
H 6.78 -2.76 -0.07
H 6.09 -2.71 -1.32
```

## Properties
Charge: 0
SMILES string: CCCCCC=O.O
HOMO energy, eV: -9.85
2S+1: 1



b.
This record from the OMol25 dataset describes one molecule with the formula C6H14O2. The level of theory is ωB97M-V/def2-TZVPD.

XYZ file:
```
22
C6H14O2, DFT ωB97M-V/def2-TZVPD
C -2.88 0.38 -0.22
C -1.57 -0.40 -0.19
O -1.41 -1.15 -1.32
C -0.33 0.68 -0.01
C 1.00 0.03 0.15
C 2.08 0.70 -0.69
C 1.41 -0.23 1.58
O 0.90 -1.53 -0.51
H -2.89 1.06 -1.07
H -3.02 0.94 0.70
H -3.71 -0.32 -0.33
H -1.52 -1.02 0.72
H -0.41 -1.61 -1.16
H -0.58 1.28 0.85
H -0.39 1.28 -0.91
H 2.18 1.74 -0.38
H 3.04 0.20 -0.57
H 1.79 0.67 -1.73
H 2.36 -0.77 1.62
H 1.53 0.73 2.10
H 0.64 -0.80 2.10
H 1.79 -1.85 -0.71
```

## Properties
Charge: 0
SMILES string: C[C@@H](O)CC(C)(C)O
HOMO energy, eV: -8.98
2S+1: 1



c.
This record from the OMol25 dataset describes one molecule with the formula C6H14O2. The level of theory is ωB97M-V/def2-TZVPD.

XYZ file:
```
22
C6H14O2, DFT ωB97M-V/def2-TZVPD
C 2.52 -0.77 -0.48
C 1.02 -1.01 -0.60
C 0.15 0.17 0.20
C 0.22 1.50 -0.53
O 0.62 0.36 1.50
C -1.22 -0.49 0.19
C -2.28 0.45 1.07
O -1.75 -0.70 -1.09
H 2.82 0.15 -0.98
H 3.07 -1.59 -0.93
H 2.81 -0.71 0.57
H 0.78 -2.01 -0.24
H 0.72 -0.96 -1.65
H -0.44 2.22 -0.05
H 1.24 1.87 -0.48
H -0.08 1.38 -1.57
H 0.63 -0.48 1.96
H -1.18 -1.45 0.70
H -3.17 -0.14 1.28
H -1.81 0.74 2.00
H -2.56 1.34 0.51
H -2.11 0.14 -1.39
```

## Properties
Charge: 0
SMILES string: CC[C@](C)(O)[C@@H](C)O
HOMO energy, eV: -9.33
2S+1: 1



d.
This record from the OMol25 dataset describes C6H14O2 as an isolated structure. The level of theory is ωB97M-V/def2-TZVPD.

XYZ file:
```
22
C6H14O2, DFT ωB97M-V/def2-TZVPD
C -0.02 -0.77 0.02
C -0.55 0.42 0.55
C -0.39 -1.14 -1.40
C 0.25 -1.95 0.92
C 1.16 1.85 -0.30
C -1.70 1.19 0.00
O 1.71 -0.10 -0.19
O -0.43 0.65 1.93
H 0.47 0.42 2.19
H 2.53 -0.56 -0.47
H -1.52 2.27 0.10
H 0.29 -1.90 -1.78
H -0.34 -0.29 -2.07
H -1.41 -1.55 -1.44
H -0.70 -2.44 1.17
H 0.89 -2.69 0.44
H 0.72 -1.66 1.86
H 2.21 2.00 -0.49
H 0.81 2.32 0.61
H 0.53 1.99 -1.18
H -2.61 0.97 0.57
H -1.89 0.97 -1.04
```

## Properties
Charge: 0
HOMO energy (alpha / beta), eV: -6.94 / -6.94
2S+1: 1



Most stable to least stable, the ends of the list are c and d.



a.
This record from the OMol25 dataset describes one molecule with the formula C4H4O3. The level of theory is ωB97M-V/def2-TZVPD.

XYZ file:
```
11
C4H4O3, DFT ωB97M-V/def2-TZVPD
C -1.20 0.32 -0.72
The quantum chemistry results stop here >
The narrative, stretched to exhaustion across two long hours, is composed of almost nothing but flip-flops. Bella loves Edward, Bella loves Jacob. No, Edward. No, Jacob. In a rare moment of insight, Bella complains about being “frozen” in her life, unable to “move forward”. The same can be said for everyone else in this deadening parade. The geologically-timed pacing reveals tiny slivers of narrative progression, cutaways to the teenage runaways gathering for their assault and the vampires joining with their sworn enemies, the werewolves, to defeat them. There is never a moment when you think this battle might be lost, or a single strand of tension to connect this stiffly choreographed mayhem to the central story.
Bella’s notions of womanhood are so unnaturally retroactive, she might as well be mooning over Mickey Rooney in an Andy Hardy melodrama from the 1940s. Arriving at her 18th birthday, her sole ambition is to find a man who will solve all of her problems. She has found two, and must decide between them, the courtly vampire or the wild wolf. And that’s about all she has to do. There is a little chatter about exams and college but her star is set early on. Bella might be faced with a choice, but she doesn’t have any options.
Stewart’s performance is built entirely on her ability to bite her lip, flick her eyes and mope. She never relaxes, which I suppose is difficult when surrounded by fiends and monsters but she might at least be relaxed about being anxious. Stewart can act, she was good in Adventureland and great in a cameo in Into The Wild, but Bella’s character allows her nothing but fidgety stasis. It’s a vacuous kind of vacuum, too, with Bella repeating the phrase, “that’s so pretty”, to three different items presented to her over the course of the film.
Opposite her, Pattinson is consistently outperformed by his haircut. He is as wooden as a garden shed. As the elemental, shape shifting werewolf, Lautner shows he is better than either of them, particularly in scenes he shares with his family of mystical moon-howlers, but he can’t save the film on his own.
The fey sparkly theatrics are played down this time, the limp action sequences allowing for fewer emotional crescendos. The special effects work is understandably bloodless, given the 12A certificate, but the digital animation and scenic work is nowhere near as accomplished or eye-catching as work available in, say, The Lord of the Rings or Harry Potter, both originated almost a decade ago. This lag may be due to the filmmaker’s belief that their target audience of young teenage girls are not as visually savvy as their counterparts among the boys, but I suspect it is because it is cheaper not to bother.
Records of molecules from another source follow =
┌──
Record 1
ORCA calculation (the ωB97M-V functional and the def2-TZVPD basis) on Ca3H6N7O24 as an isolated structure at a distorted geometry.

The lowest unoccupied orbital energy is -0.1 eV. The total energy is -4225.1140 hartree. Its multiplicity is 1. The total charge is -1. For the HOMO-LUMO gap, the calculation gives 5.9 eV. The molar mass is 608.3 g/mol.

CARTESIAN COORDINATES (ANGSTROEM)
Ca1 2.979 2.441 -0.496
Ca2 2.006 -1.515 2.463
Ca3 -1.022 1.186 -2.783
N1 1.501 -1.292 -2.865
O1 2.159 -1.677 -3.830
O2 1.443 -1.960 -1.827
O3 0.908 -0.166 -2.954
N2 4.199 -0.712 -0.259
O4 4.098 0.427 -0.791
O5 4.772 -1.602 -0.818
O6 3.638 -0.868 0.856
N3 0.479 3.697 -2.474
O7 0.877 4.644 -3.121
O8 1.333 2.843 -2.079
O9 -0.716 3.453 -2.218
N4 0.285 0.189 0.265
O10 0.174 -0.569 1.282
O11 1.284 0.879 0.094
O12 -0.635 0.138 -0.547
N5 0.457 4.401 0.994
O13 -0.494 3.990 1.624
O14 0.484 5.518 0.471
O15 1.495 3.656 0.873
N6 -0.100 -4.046 3.571
O16 0.278 -3.004 2.942
O17 0.635 -4.517 4.435
O18 -1.197 -4.505 3.309
N7 -3.361 1.975 -0.206
O19 -3.807 1.044 0.473
O20 -3.389 3.125 0.196
O21 -2.887 1.689 -1.361
O22 -0.950 -3.357 -0.192
H1 -0.607 -3.553 0.688
H2 -0.205 -2.974 -0.674
O23 -2.462 -1.653 2.284
H3 -1.619 -1.263 2.020
H4 -2.222 -2.459 2.752
O24 -3.374 -1.560 -0.813
H5 -2.704 -1.320 -0.164
H6 -3.735 -0.722 -1.120

---

Record 2
ORCA calculation (the ωB97M-V functional and the def2-TZVPD basis) on a 4-piece molecular cluster, C2H12N2O3 overall.

The lowest unoccupied orbital energy is 0.4 eV. Its structure (SMILES) is C/N=C\N.O.O.O. The total energy is -418.6090 hartree. Its multiplicity is 1. For the HOMO-LUMO gap, the calculation gives 9.6 eV. The molar mass is 112.1 g/mol.

CARTESIAN COORDINATES (ANGSTROEM)
C1 -0.288 1.044 1.914
N1 0.948 1.632 1.475
C2 1.685 0.954 0.711
N2 1.488 -0.341 0.264
H1 -0.128 0.294 2.687
H2 -0.952 1.816 2.283
H3 -0.873 0.549 1.136
H4 2.632 1.360 0.376
H5 0.535 -0.675 0.279
H6 1.977 -0.559 -0.593
O1 -3.289 -0.742 1.108
H7 -2.599 -1.342 1.423
H8 -3.995 -1.338 0.834
O2 2.078 -0.860 -2.925
H9 2.718 -0.146 -2.854
H10 1.970 -1.006 -3.871
O3 -1.734 -0.712 -1.597
H11 -1.117 0.034 -1.568
H12 -2.007 -0.860 -0.683
└──
Twilight has been sold on sight to a ravenous audience who don’t care that they are being short changed. Even so, the film should look and sound better than it does. The effects work is the equivalent of reasonably accomplished television and the soundtrack of bed-wetting emo rock is no substitute for an original score. The cheap look of the film is galling given that the franchise has banked considerable box-office returns and doubly so, since the pancake makeup, Weetabix wigs and wobbly CGI go some way towards disrupting the fantasy.
We enter the story at the point where the last film, an even more glacially-paced and moody non-event, ended. Bella (Kirsten Stewart) and her bloodsucking beau Edward (Robert Pattinson) have been reunited, much to the chagrin of the Native American third wheel Jacob (Taylor Lautner). Confused Bella is torn between her two admirers; undead Edward, with his sparkly skin and flashing yellow eyes, and hot-blooded Jacob, who can transform into a virile, hairy werewolf on demand. As Bella hums and haws, an old threat returns in the form of redheaded outlaw vampire Victoria (Byrce Dallas Howard, replacing Rachelle Lefevre). Victoria is breeding an army of dangerous young vampires to avenge the death of her beloved at the hands of Bella and the Cullen clan.
The narrative, stretched to exhaustion across two long hours, is composed of almost nothing but flip-flops. Bella loves Edward, Bella loves Jacob. No, Edward. No, Jacob. In a rare moment of insight, Bella complains about being “frozen” in her life, unable to “move forward”. The same can be said for everyone else in this deadening parade. The geologically-timed pacing reveals tiny slivers of narrative progression, cutaways to the teenage runaways gathering for their assault and the vampires joining with their sworn enemies, the werewolves, to defeat them. There is never a moment when you think this battle might be lost, or a single strand of tension to connect this stiffly choreographed mayhem to the central story.
Bella’s notions of womanhood are so unnaturally retroactive, she might as well be mooning over Mickey Rooney in an Andy Hardy melodrama from the 1940s. Arriving at her 18th birthday, her sole ambition is to find a man who will solve all of her problems. She has found two, and must decide between them, the courtly vampire or the wild wolf. And that’s about all she has to do. There is a little chatter about exams and college but her star is set early on. Bella might be faced with a choice, but she doesn’t have any options.
Stewart’s performance is built entirely on her ability to bite her lip, flick her eyes and mope. She never relaxes, which I suppose is difficult when surrounded by fiends and monsters but she might at least be relaxed about being anxious. Stewart can act, she was good in Adventureland and great in a cameo in Into The Wild, but Bella’s character allows her nothing but fidgety stasis. It’s a vacuous kind of vacuum, too, with Bella repeating the phrase, “that’s so pretty”, to three different items presented to her over the course of the film.
Quantum chemistry results that have nothing to do with the article =
____________
{"formula": "C3H4NO", "method": "the ωB97M-V functional and the def2-TZVPD basis", "total_charge": -1, "lumo_energy_ha": 0.1586, "orbital_gap_ev": 7.61, "total_energy_ev": -6707.9939, "e_above_lowest_kj_mol": 269.5, "species": ["C", "C", "C", "N", "O", "H", "H", "H", "H"], "coordinates": [[-0.001, 0.290, 0.224], [0.641, 0.653, 1.228], [-0.670, -0.302, -0.871], [1.684, 1.943, 3.007], [2.776, 1.580, 3.505], [-1.517, -0.932, -0.643], [-1.259, 0.321, -1.519], [-0.035, -0.855, -1.606], [0.980, 1.726, 3.719]]}
____________
Opposite her, Pattinson is consistently outperformed by his haircut. He is as wooden as a garden shed. As the elemental, shape shifting werewolf, Lautner shows he is better than either of them, particularly in scenes he shares with his family of mystical moon-howlers, but he can’t save the film on his own.
The fey sparkly theatrics are played down this time, the limp action sequences allowing for fewer emotional crescendos. The special effects work is understandably bloodless, given the 12A certificate, but the digital animation and scenic work is nowhere near as accomplished or eye-catching as work available in, say, The Lord of the Rings or Harry Potter, both originated almost a decade ago. This lag may be due to the filmmaker’s belief that their target audience of young teenage girls are not as visually savvy as their counterparts among the boys, but I suspect it is because it is cheaper not to bother.
Twilight has been sold on sight to a ravenous audience who don’t care that they are being short changed. Even so, the film should look and sound better than it does. The effects work is the equivalent of reasonably accomplished television and the soundtrack of bed-wetting emo rock is no substitute for an original score. The cheap look of the film is galling given that the franchise has banked considerable box-office returns and doubly so, since the pancake makeup, Weetabix wigs and wobbly CGI go some way towards disrupting the fantasy.